(To do)
Count the lines further below that contain the word "Atoms" and give the number alone.
(Material)
'''
A geometry-optimized LiHg3 structure. Source: Materials Project, functional PBE.

Cell lengths 6.389, 6.389, 5.251 Å; angles 90.00, 90.00, 120.00 degrees
Atoms (fractional coordinates):
Li (0.333, 0.667, 0.250)
Li (0.667, 0.333, 0.750)
Hg (0.170, 0.339, 0.750)
Hg (0.170, 0.830, 0.750)
Hg (0.339, 0.170, 0.250)
Hg (0.661, 0.830, 0.750)
Hg (0.830, 0.170, 0.250)
Hg (0.830, 0.661, 0.250)

Values from the calculation:
Total DFT energy (no corrections) in Ry per atom: -0.065

* * * * *

(1)
Below is Mg6AlCd after structural relaxation, with properties calculated at the PBE level.

a = 5.0731 Å, b = 6.2676 Å, c = 10.9382 Å
α = 90.00°, β = 90.00°, γ = 90.00°
With the nearest neighbours (Å) after each atom.
Element x y z (fractional)
Mg 0.5000 0.2526 0.4151  2 Al 3.10, 8 Mg 3.10-3.17, 2 Cd 3.13-3.17
Mg 0.0000 0.2497 0.5838  2 Cd 3.11, 8 Mg 3.12-3.16, 2 Al 3.13-3.17
Mg 0.5000 0.5000 0.6669  10 Mg 3.12-3.16, 2 Cd 3.13
Mg 0.5000 0.7474 0.4151  2 Al 3.10, 8 Mg 3.10-3.17, 2 Cd 3.13-3.17
Mg 0.5000 0.2474 0.9151  2 Al 3.10, 8 Mg 3.10-3.17, 2 Cd 3.13-3.17
Mg 0.0000 0.7497 0.0838  2 Cd 3.11, 8 Mg 3.12-3.16, 2 Al 3.13-3.17
Mg 0.0000 0.0000 0.3330  10 Mg 3.12-3.16, 2 Al 3.13
Mg 0.5000 0.0000 0.1669  10 Mg 3.12-3.16, 2 Cd 3.13
Mg 0.0000 0.7503 0.5838  2 Cd 3.11, 8 Mg 3.12-3.16, 2 Al 3.13-3.17
Mg 0.5000 0.7526 0.9151  2 Al 3.10, 8 Mg 3.10-3.17, 2 Cd 3.13-3.17
Mg 0.0000 0.5000 0.8330  10 Mg 3.12-3.16, 2 Al 3.13
Mg 0.0000 0.2503 0.0838  2 Cd 3.11, 8 Mg 3.12-3.16, 2 Al 3.13-3.17
Al 0.0000 0.5000 0.3360  10 Mg 3.10-3.17, 2 Cd 3.14
Al 0.0000 0.0000 0.8360  10 Mg 3.10-3.17, 2 Cd 3.14
Cd 0.5000 0.0000 0.6662  10 Mg 3.11-3.17, 2 Al 3.14
Cd 0.5000 0.5000 0.1662  10 Mg 3.11-3.17, 2 Al 3.14

Properties
polymorph energy (0 for the lowest one) = 4 meV/atom
E_form = -0.002 eV/atom
total moment = 0.00 μB/atom
total energy = -0.131 Ry/atom


(2)
Below is Al2Cd3N4 after structural relaxation, with properties calculated at the PBE level.

a = 6.6371 Å, b = 6.6371 Å, c = 5.6098 Å
α = 92.52°, β = 92.52°, γ = 87.42°
With the nearest neighbours (Å) after each atom.
Element x y z (fractional)
Al 0.1114 0.3397 0.4035  4 N 1.90-1.94
Al 0.3397 0.1114 0.9035  4 N 1.90-1.94
Al 0.6603 0.8886 0.0965  4 N 1.90-1.94
Al 0.8886 0.6603 0.5965  4 N 1.90-1.94
Cd 0.1063 0.8937 0.2500  6 N 2.43-2.67
Cd 0.2268 0.5519 0.9322  3 N 2.21-2.45
Cd 0.4481 0.7732 0.5678  3 N 2.21-2.45
Cd 0.5519 0.2268 0.4322  3 N 2.21-2.45
Cd 0.7732 0.4481 0.0678  3 N 2.21-2.45
Cd 0.8937 0.1063 0.7500  6 N 2.43-2.67
N 0.1341 0.2580 0.0730  2 Al 1.90-1.92
N 0.1663 0.6090 0.5067  2 Al 1.90-1.94
N 0.2580 0.1341 0.5730  2 Al 1.90-1.92
N 0.3910 0.8337 0.9933  2 Al 1.90-1.94
N 0.6090 0.1663 0.0067  2 Al 1.90-1.94
N 0.7420 0.8659 0.4270  2 Al 1.90-1.92
N 0.8337 0.3910 0.4933  2 Al 1.90-1.94
N 0.8659 0.7420 0.9270  2 Al 1.90-1.92

Properties
E_form = -0.326 eV/atom
E (MP2020) = -5.172 eV per atom
total moment = 0.00 μB/atom
total energy = -0.368 Ry/atom


(3)
Below is Al22CdO34 after structural relaxation, with properties calculated at the PBE level.

a = 9.7780 Å, b = 11.3003 Å, c = 11.8107 Å
α = 90.00°, β = 105.80°, γ = 90.00°
With the nearest neighbours (Å) after each atom.
Element x y z (fractional)
Al 0.0000 0.0000 0.0000  6 O 1.90-1.92
Al 0.0000 0.5000 0.0000  6 O 1.90-1.92
Al 0.0462 0.2500 0.6468  4 O 1.76-1.81
Al 0.0575 0.7500 0.6490  4 O 1.77-1.79
Al 0.0965 0.0014 0.7853  4 O 1.81-2.01
Al 0.0965 0.4986 0.7853  4 O 1.81-2.01
Al 0.1500 0.7500 0.9478  4 O 1.81-1.84
Al 0.1509 0.2500 0.9512  4 O 1.81-1.82
Al 0.1540 0.1270 0.2169  4 O 1.81-2.01
Al 0.1540 0.3730 0.2169  4 O 1.81-2.01
Al 0.1535 0.6237 0.2075  6 O 1.81-2.02
Al 0.1535 0.8763 0.2075  6 O 1.81-2.02
Al 0.3429 0.1250 0.7851  4 O 1.81-1.99
Al 0.3429 0.3750 0.7851  4 O 1.81-1.99
Al 0.3454 0.6226 0.7865  5 O 1.82-2.02
Al 0.3454 0.8774 0.7865  5 O 1.82-2.02
Al 0.3514 0.0020 0.0510  4 O 1.81-1.83
Al 0.3514 0.4980 0.0510  4 O 1.81-1.83
Al 0.4031 0.2500 0.2153  4 O 1.82-2.01
Al 0.4039 0.7500 0.2123  4 O 1.81-1.99
Al 0.4503 0.0002 0.3511  4 O 1.69-1.82
'''
(Written answer)
1